Measures on Administration of Domestic Securities Investments by

Measures on Administration of Domestic Securities Investments by Qualified Foreign
Institutional Investors
Chapter I General Provisions
Article 1 The Measures is formulated in accordance with relevant laws and administrative
regulations in order to regulate investments in the Chinese securities market by qualified foreign
institutional investors and to promote the development of the Chinese securities market.
Article 2 The term “qualified foreign institutional investor” (QFII) refers to any overseas fund
management institution, insurance company, securities company or other assets management
institution that invests in China's securities market upon approval by the China Securities
Regulatory Commission (CSRC) with a quota granted by the State Administration of Foreign
Exchange (SAFE) in accordance with the regulations of the Measures.
Article 3 A QFII shall entrust a domestic commercial bank as the custodian of its assets, and
entrust a domestic securities company with its domestic securities trading.
Article 4 A QFII shall comply with the laws, regulations and other relevant rules of China.
Article 5 The CSRC shall regulate the domestic securities investments conducted by a QFII
according to law; and the SAFE shall exercise foreign exchange administration over such issues as
the investment quota as well as the outward and inward remittance related to the domestic
securities investments by a QFII according to law.
Chapter II Qualification Requirements and Approval Procedures
Article 6 A QFII applicant shall meet the following requirements:
(1) The applicant shall be in sound financial and credit status, and shall meet the requirements set
by the CSRC on assets size and other factors;
(2) Employees of the applicant shall meet the requirements on practitioner’s qualification of the
country or region where the applicant is located;
(3) The applicant shall have sound governance structure and internal control system, and conduct
business in accordance with the regulations without having been subject to any major penalty by
regulatory authorities in the recent three years;
(4) The country or region where the applicant is located shall have a sound legal and regulatory
system, and its securities regulatory authority has signed a memorandum of understanding on
regulatory cooperation with the CSRC and has maintained an efficient regulatory and cooperative
(5) Other requirements as prescribed by the CSRC in the principle of prudent regulation.
Article 7 To apply for the QFII qualification and an investment quota, an applicant may submit the
documents to the CSRC and the SAFE respectively through its custodian.
Article 8 The CSRC shall, within 20 workdays upon receipt of the complete set of application
a) Material: Ti8Sn2H3
Method: DFT, GGA-PBE
State: optimized geometry

Values from the calculation:
* magnetization: 1.51 μB per cell
* SG: P4/mmm (123)

a = 4.068 Å, b = 4.068 Å, c = 11.274 Å
α = 90.00°, β = 90.00°, γ = 90.00°
Each line ends with the local moment (μB).
Fractional coordinates of all 13 atoms:
H 0.500 0.500 0.638  0.00
Ti 0.500 0.000 0.000  0.06
Sn 0.000 0.000 0.811  0.00
Ti 0.500 0.000 0.378  0.28
Ti 0.000 0.500 0.622  0.28
H 0.500 0.500 0.362  0.00
Ti 0.500 0.000 0.622  0.28
Ti 0.000 0.500 0.000  0.06
Ti 0.500 0.500 0.195  -0.01
Sn 0.000 0.000 0.189  0.00
Ti 0.000 0.500 0.378  0.28
H 0.500 0.500 0.000  0.00
Ti 0.500 0.500 0.805  -0.01

---

b) Material: Ti8Sn2H3
Method: DFT, GGA-PBE
State: optimized geometry

Values from the calculation:
* magnetization: 0.00 μB per cell
* SG: C2/m (12)

a = 5.329 Å, b = 5.570 Å, c = 7.303 Å
α = 112.42°, β = 99.42°, γ = 90.00°
Fractional coordinates of all 13 atoms:
H 0.500 0.000 0.000
Ti 0.907 0.590 0.180
Ti 0.646 0.180 0.854
H 0.000 0.744 0.000
Ti 0.174 0.816 0.632
Ti 0.826 0.184 0.368
Ti 0.354 0.820 0.146
Sn 0.651 0.744 0.488
Ti 0.354 0.326 0.146
H 0.000 0.256 0.000
Ti 0.646 0.674 0.854
Ti 0.093 0.410 0.820
Sn 0.349 0.256 0.512

---

Short version: a), b), most stable first.


Here is PmMnTeO2 after structural relaxation from Alexandria. Energies are from GGA+U.

Unit cell a=5.529 b=13.468 c=5.524 alpha=90.00 beta=90.00 gamma=90.00
Space group Cmcm (No. 63)
Asymmetric unit:
Pm 0.000 0.090 0.250 (multiplicity 4)
Mn 0.000 0.449 0.250 (multiplicity 4)
Te 0.000 0.249 0.750 (multiplicity 4)
O 0.246 0.500 0.000 (multiplicity 8)

Summary:
Raw total energy = -34.96 eV/f.u.


{"formula": "Nd3Er6Sc", "functional": "GGA-PBE", "state": "optimized geometry", "final_energy_ev_per_atom": -4.77, "e_form_ev_per_atom": 0.033, "relative_energy_mev_per_atom": 0, "spacegroup": "No. 2", "crystal_system": "triclinic", "lattice": [[7.350, -0.032, -2.885], [-1.105, 8.804, -2.884], [-1.950, -0.448, 5.751]], "species": ["Nd", "Nd", "Nd", "Er", "Er", "Er", "Er", "Er", "Er", "Sc"], "fractional_positions": [[0.602, 0.206, 0.606], [0.398, 0.794, 0.394], [0.000, 0.000, 0.000], [0.204, 0.403, 0.204], [0.097, 0.696, 0.596], [0.796, 0.597, 0.796], [0.903, 0.304, 0.404], [0.302, 0.103, 0.803], [0.698, 0.897, 0.197], [0.500, 0.500, 0.000]]}


1.
! BTeSN2 (PBE-GGA, relaxed); values from VASP
! **Formation energy without anion corrections**: 2163 meV per atom
! **Total energy**: -3.956 eV per atom
! **ΔE to the lowest computed polymorph**: 0.6820 eV/atom
! **Symmetry**: P4/mmm, No. 123
! **Density**: 4.10 g/cm3
&SYSTEM
  ibrav = 0, nat = 5, ntyp = 4
/
ATOMIC_SPECIES
B 10.81 B.upf
Te 127.60 Te.upf
S 32.06 S.upf
N 14.01 N.upf
ATOMIC_POSITIONS crystal
B 0.000 0.000 0.000
Te 0.500 0.500 0.500
S 0.500 0.500 0.000
N 0.000 0.500 0.500
N 0.500 0.000 0.500
CELL_PARAMETERS angstrom
3.882 0.000 0.000
0.000 3.882 0.000
0.000 0.000 5.331

2.
! Ac6Co2AuCl3 (PBE-GGA, relaxed); values from VASP
documents, decide whether to grant approval or not after examining and verifying the application
documents as well as consulting with the SAFE. In the case of approval, the CSRC shall issue a
license for securities investment business; in the case of rejection, it shall send a written notice to
the applicant.
Article 9 An applicant shall, within 1 year from the day when it obtains a license for securities
investment business, apply to the SAFE for investment quota through the custodian.
The SAFE shall, within 20 workdays since the receipt of the complete set of application
documents, decide whether to grant approval or not after examining and verifying the application
documents as well as consulting with the CSRC. In the case of approval, the SAFE shall give a
written reply and issue a foreign exchange registration certificate; in the case of rejection, it shall
send a written notice to the applicant.
Article 10 To encourage medium and long-term investments, preference will be given to the
institutions managing long-term funds such as pension funds, insurance funds, mutual funds and
charity funds in accordance with the requirements of the Measures.
Chapter III Custody, Registration and Settlement
Article 11 A custodian shall meet the following requirements:
(1) Having set up a special assets custody department;
(2) With the paid-up capital of not less than RMB8 billion;
(3) Equipped with sufficient full-time staff who are familiar with the custody business;
4) Having the conditions for safekeeping of the assets of the QFII;
5) Able to process fund settlement and delivery in a safe and efficient way;
(6) Having obtained the qualification of a designated foreign exchange bank and that of engaging
in the RMB business; and
(7) With no record of serious violation of foreign exchange administration regulations in the
recent three years.
Domestic branches of the foreign-funded commercial banks with more than three years of
continuous operation in China are eligible to apply for the custodian qualification. The amount of
their paid-up capital shall be calculated on the basis of that of their overseas headquarters.
Article 12 Application for the custodian qualification shall be subject to the review and approval
by the CSRC and the SAFE. The CSRC shall, within 30 workdays since the receipt of the
complete set of application documents, decide whether to grant the license or not after the
countersigning by the SAFE.
Article 13 A custodian shall perform the following duties:
(1) Having the custody of all the assets entrusted by the QFII;
(2) Handling all QFII-related foreign exchange settlement, sales, receipt and payment and the
RMB settlement businesses;
(3) Supervising the investment activities of the QFII, and reporting to the CSRC and the SAFE in
time after finding any investment instruction that violates the laws or regulations;
(4) Reporting to the SAFE about the inward and outward remittance of capital and the settlement
and sale of foreign exchange of the QFII within two workdays upon its inward remittance of the
principal and outward remittance of the principal or proceeds;
(5) Within 8 workdays after the end of each month, reporting the revenues and expenditures of
both the foreign exchange account and special RMB account, together with the assets allocation of
the QFII to the SAFE, and reporting the investments and trading conducted under the securities
account to the CSRC;
(6) Within 3 months after the end of each accounting year, compiling an annual financial report on
the domestic securities investments by the QFII in the previous year, and submitting it to the
CSRC and the SAFE;
(7) Keeping the records on the QFII’s inward and outward remittances, foreign exchange
conversion, receipt and payment as well as fund transfer and other related materials for at least 20
(8) Making statistical report on balance of international payments pursuant to the state regulations
on foreign exchange administration; and
(9) Other duties prescribed by the CSRC and the SAFE in the principle of prudent supervision.
Article 14 A custodian shall strictly separate its own assets from those under its custody, and set
up different accounts for the assets under its custody for separate management.
Article 15 Each QFII shall only entrust one custodian and may change the custodian.
Article 16 A QFII may apply to a securities depository and clearing institution for opening a
securities account, which may be a real-name account or a nominal holder account.
The nominal holder shall, within 8 workdays after the end of each quarter, report the name,
registered place, assets allocation and securities investment status of the actual investor or funds
represented by it to the CSRC and stock exchanges.
Article 17 A QFII shall entrust an institution that has obtained the settlement participant
qualification of the securities depository and clearing institution with the fund settlement. This
institution shall, within five workdays after opening a RMB settlement account, report the opening
to the SAFE for record.
Chapter IV Investment Operations
Article 18 A QFII may, within the approved investment quota, invest in the RMB financial
instruments approved by the CSRC.
Article 19 A QFII may entrust the securities companies and other investment management
institutions established within China with the management of its domestic securities investments.
Article 20 A QFII shall make the domestic stock investments in compliance with the limits on
shareholding proportion stipulated by the CSRC and other relevant state regulations.
Article 21 In fulfilling its obligation of information disclosure, A QFII shall calculate the total
amount of the domestically and overseas listed stocks of the same listed company, and shall abide
by the relevant laws and regulations on information disclosure.
Article 22 Securities companies and other institutions shall keep the entrustment record,
transaction record and other materials of the QFII for at least 20 years.
Article 23 A QFII shall abide by relevant regulations of the stock exchanges or securities
depository and clearing institutions in conducting the domestic securities investments.
Chapter V Fund Management
Article 24 Upon approval by the SAFE, a QFII shall open a foreign exchange account and a
special RMB account with its custodian.
Article 25 The revenue and expenditure scopes of a QFII’s foreign exchange account and special
RMB account shall be in line with relevant regulations of the SAFE.
Article 26 A QFII shall remit the principal within the time limit prescribed by the SAFE. The
currency of the principal remitted by the QFII shall be a convertible currency approved by the
SAFE, and the amount of the principal shall not exceed the approved quota.
If a QFII fails to fully remit the principal within the time limit prescribed by the SAFE, it shall
explain in writing to the CSRC and the SAFE, with the actual amount remitted as the approved
quota. The spread between the originally approved quota and the actual amount remitted shall not
be remitted inward without the approved by the SAFE.
Article 27 A QFII may apply to the SAFE for remitting fund outward from the expiration day of
the time limit prescribed by the SAFE, unless it is otherwise prescribed by the SAFE.
Article 28 The SAFE may, in light of China’s economic and financial situation, supply-demand
relationship in the foreign exchange market and the balance of international payments, adjust the
time and amount of the inward and outward remittance of principal by a QFII as well as the time
limit of the outward remittance in accordance with the arrangement of the People's Bank of China
Chapter VI Supervision and Administration
Article 29 The CSRC and the SAFE may, according to law, require the QFIIs, custodians,
securities companies and other institutions to provide relevant materials about the QFIIs, and may
make necessary inquiries and examinations.
Article 30 In case of any of the following circumstances, a QFII shall, within 5 workdays after the
occurrence, report to the CSRC and the SAFE for record:
(1) Change of custodian;
(2) Change of legal representative;
(3) Change of the controlling shareholder;
(4) Adjustment of the registered capital;
(5) Being involved in any significant litigation and other significant event;
(6) Under serious penalty overseas; or
(7) Other circumstances prescribed by the CSRC and the SAFE.
Article 31 In case of any of the following circumstances, a QFII shall re-apply for a license for
securities investment business:
(1) Change of its name;
(2) Merged by other institution(s); or
(3) Other circumstances prescribed by the CSRC and the SAFE.
During the period of re-applying for the license for securities investment business, a QFII may
continue its securities trading, unless the CSRC deems it necessary to suspend such trading in the
principle of prudent supervision.
Article 32 In case of any of the following circumstances, a QFII shall respectively hand back its
license for securities investment business and foreign exchange registration certificate to the
CSRC and the SAFE:
(1) The applicant fails to apply to the SAFE for an investment quota within 1 year after obtaining
a license for securities investment business;
(2) The institution is disincorporated, has entered the bankruptcy procedure or has been taken over
by the receiver;
(3) The QFII re-applies for a license; or
(4) The QFII has committed any serious illegal activity, and other circumstances determined by
the CSRC and the SAFE.
Article 33 In case of any serious violation of law or regulation with respect to the securities
accounts managed by a QFII, the CSRC may restrict the transactions under relevant securities
accounts or adopt other measures according to law; the SAFE may restrict the inward and outward
remittance of funds or adopt other measures according to law.
Article 34 Where a custodian has seriously violated the law or regulation, the CSRC and the
SAFE shall make a joint decision to cancel its custodian qualification.
Article 35 Where a QFII, custodian, or securities company violates the Measures, the CSRC and
the SAFE shall implement corresponding administrative penalties according to law.
Chapter VII Supplementary Provisions
Article 36 The Measures is also applicable to the institutional investors established in the Hong
Kong Special Administrative Region, the Macao Special Administrative Region and Taiwan,
which conduct the securities investment businesses in China’s Mainland.
Article 37 The Measures shall come into force from September 1, 2006. The “Provisional
Measures on Administration of Domestic Securities Investments of Qualified Foreign Institutional
Investors” jointly issued by the CSRC and the PBC on November 5, 2002 shall be simultaneously